The (Belated) Sunshine Award

First, I owe all these lovelies who nominated me for this award a huge apology for taking so long to respond. I went into hibernation for a lot longer than anticipated.

Second, to anyone still reading this blog, I’m sorry too for taking a leave of absence not fully planned or accounted for.

Life gets in the way, yunno? Or more accurately, feeling like I wasn’t in the right headspace to blog. Or rather, not feeling like anything I had to say was worth writing about. And then the side of me that’s full of self-loathing emerged with her devil horns and said to me, “No one reads this blog anyway. So go ahead, just keep on being lazy.” Silly me, I listened to her.

Also, my drama watching had slowed to a trickle and then came to a screeching halt, so that compounded the rut.

And then I became obsessed with Rurouni Kenshin (aka Samurai X)–the films, the manga, the anime, the EVERYTHING–which sort of took over my life. I even thought of turning this entire blog into a shrine to Kenshin. But that’s another story.

But I recently picked up watching a couple of shows again. So here I am.

TL; DR I’m sorry, I’m back, and here are my answers to your questions: Continue reading

Yoon Shi Yoon Enlists, & Other News: the OCDrama Digest 15th-28th April

Hi all, I took a week off  from writing these because I hadn’t had much time of late, and I was wondering if it was even worthwhile to continue doing them. But for now I’ve decided to go on if only because it keeps me on my toes. One slight change to the schedule though: I’ll post these on Mondays from now on instead.

Yoon Shi Yoon

1. Yoon Shi Yoon joined the Marines today, and the sound of crushed fangirl hearts echoed throughout the world. The lack of fanfare though, is class I gotta say. And at the back of all our minds we’re asking ourselves, who’s up next? Yoo Ah In, Jang Geun Seuk, Lee Seung Gi, and Choi Jin Hyuk are but a few of the boys rumoured to be enlisting this year.

Girls, we need to support each other during these difficult times. Let’s make ourselves available as marathon buddies okay. It’s a poor substitute, but what can do you? I’m up for a watch of Me Too Flower soon. Anyone care to join?  Continue reading

Ugly Alert: K-Actor Photoshoots Gone Wrong III–Fugly Hats Edition

It’s been awhile since I put one of these puppies together, and since I’m experiencing a bout of blogging inertia, the time is right for a photo-heavy, text-light and hopefully laugh-laden post 😀

I don’t keep up with fashion trends, but I do remember when there seemed to be a spate of K-actors wearing very large hats and thinking, good lord that’s big.

Jung Kyung Ho’s had bad luck with hats. It hasn’t turned for the better:

jungkyungho2 Continue reading

The OCDrama Digest 17th – 23rd Feb

Hello all, how was your week? I’m experiencing a bout of writer’s block as you may have noticed by the silence this week. I’m not alone it seems, as a couple of us on Facebook were saying how we might as well set up a support group of sorts :D.

Moving on…

## Data records from another source follow
-- begin --
Computed, not measured: a relaxed BeTeAsBr2 crystal at the PBE level of DFT.

Structure (CIF):
```
data_BeTeAsBr2
_chemical_formula_sum 'Be1 Te1 As1 Br2'
_symmetry_space_group_name_H-M 'P 1'
_symmetry_Int_Tables_number 1
_symmetry_space_group_name_Hall 'P 1'
_cell_length_a 5.6258
_cell_length_b 5.6258
_cell_length_c 5.4420
_cell_angle_alpha 90.00
_cell_angle_beta 90.00
_cell_angle_gamma 90.00
loop_
_atom_site_label
_atom_site_type_symbol
_atom_site_fract_x
_atom_site_fract_y
_atom_site_fract_z
Be1 Be 0.5000 0.5000 0.5000
As1 As 0.0000 0.0000 0.5000
Te1 Te 0.0000 0.0000 0.0000
Br1 Br 0.0000 0.5000 0.0000
Br2 Br 0.5000 0.0000 0.0000
```

Values from the calculation:
DOS at the Fermi energy (states/eV per atom): 1.0875
Energy relative to the lowest polymorph listed for this composition (meV/atom): 710
E_form (uncorrected) (eV per atom): 0.899

* * * * *

This record from the Alexandria database describes a relaxed Cu2NiSnSe4 crystal. The functional is PBE.

a = 5.6523 Å, b = 5.6523 Å, c = 11.3835 Å
α = 90.00°, β = 90.00°, γ = 90.00°
Space group I-4 (No. 82)
Inequivalent atoms, fractional coordinates:
Cu (0.0000, 0.0000, 0.0000) (multiplicity 2)
Cu (0.0000, 0.5000, 0.2500) (multiplicity 2)
Ni (0.0000, 0.0000, 0.5000) (multiplicity 2)
Sn (0.0000, 0.5000, 0.7500) (multiplicity 2)
Se (0.2258, 0.2616, 0.3865) (multiplicity 8)

Output
- formation energy without anion corrections (eV/atom) = -0.2546
- E (eV/atom) = -4.2440
- total magnetization (μB per atom) = 0.10
- volume (Å³/atom) = 22.73
-- stop --

1. Kim Woo Bin, Rain and the Running Man crew land in Australia to tape an episode set to air in March. Thanks to the stalkerazzi on tumblr, I know what we can look forward to seeing and I’m jumping for joy *smirk*: 

 KWBRunningMan KookRunningMan Continue reading

The Liebster Award–Part 2

Liebster Award Logo-1

[Shucks, there’ve been a couple more (thanks again Snow and Ahjusshi Fan!)so I’ve updated this page to keep the Liebsters together. Scroll down if you’re interested ;)]

Well lookie here! I’m really chuffed and grateful for Erl at A Mix of Anything and Everything for nominating me for the Liebster Award (why do I feel like I’m writing my Oscar acceptance speech?).

I know everybody says this but it is true that I’d never really thought anyone would read anything on my blog, let alone receive something like this.  So I am downright humbled and well pleased that this has come my way. So Erl, I shower you with rose petals, and same goes for anyone who has ever read and commented here on my little corner of the world. Everyone gets rose petals! Continue reading